/*
Li2Mn3TeO8 after structural relaxation, computed with PBE with a Hubbard U.

Energy of formation   -1996 meV/atom
E above lowest polymorph   0.0027 eV/atom

Cell: 6.092 6.117 10.808 Å, 90.80 105.48 119.65°
Space group P-1 (No. 2)
Inequivalent atoms, fractional coordinates:
Li  0.140  0.064  0.210 (multiplicity 2)
Li  0.150  0.570  0.709 (multiplicity 2)
Mn  0.000  0.000  0.500 (multiplicity 1)
Mn  0.000  0.500  0.000 (multiplicity 1)
Mn  0.500  0.000  0.000 (multiplicity 1)
Mn  0.500  0.000  0.500 (multiplicity 1)
Mn  0.500  0.500  0.000 (multiplicity 1)
Mn  0.500  0.500  0.500 (multiplicity 1)
Te  0.484  0.736  0.250 (multiplicity 2)
O  0.256  0.839  0.132 (multiplicity 2)
O  0.260  0.629  0.363 (multiplicity 2)
O  0.263  0.611  0.909 (multiplicity 2)
O  0.270  0.401  0.134 (multiplicity 2)
O  0.285  0.152  0.861 (multiplicity 2)
O  0.293  0.375  0.632 (multiplicity 2)
O  0.297  0.925  0.636 (multiplicity 2)
O  0.300  0.149  0.409 (multiplicity 2)

~~~~~

[1]
A relaxed structure of Li9Mn2Co5O16. Source: the Materials Project database, functional PBE+U.

a b c (Å): 2.958 9.855 10.102
angles (deg): 78.88 87.13 86.95
Space group P1 (No. 1)
Symmetry-distinct sites (fractional):
Li (0.000, 0.000, 0.000) [1 per cell]
Li (0.002, 0.504, 0.750) [1 per cell]
Li (0.485, 0.494, 0.492) [1 per cell]
Li (0.499, 0.496, 0.001) [1 per cell]
Li (0.501, 0.003, 0.750) [1 per cell]
Li (0.504, 0.002, 0.245) [1 per cell]
Li (0.510, 0.259, 0.373) [1 per cell]
Li (0.987, 0.002, 0.493) [1 per cell]
Li (0.995, 0.491, 0.254) [1 per cell]
Mn (0.993, 0.251, 0.618) [1 per cell]
Mn (0.995, 0.748, 0.876) [1 per cell]
Co (0.002, 0.248, 0.133) [1 per cell]
Co (0.487, 0.247, 0.876) [1 per cell]
Co (0.496, 0.748, 0.623) [1 per cell]
Co (0.502, 0.750, 0.123) [1 per cell]
Co (0.996, 0.753, 0.370) [1 per cell]
O (0.003, 0.369, 0.452) [1 per cell]
O (0.014, 0.865, 0.689) [1 per cell]
O (0.021, 0.357, 0.946) [1 per cell]
O (0.033, 0.865, 0.185) [1 per cell]
O (0.462, 0.627, 0.811) [1 per cell]
O (0.468, 0.354, 0.689) [1 per cell]
O (0.476, 0.139, 0.055) [1 per cell]
O (0.491, 0.639, 0.306) [1 per cell]
O (0.508, 0.870, 0.434) [1 per cell]
O (0.519, 0.141, 0.569) [1 per cell]
O (0.528, 0.365, 0.179) [1 per cell]
O (0.528, 0.866, 0.943) [1 per cell]
O (0.964, 0.137, 0.807) [1 per cell]
O (0.968, 0.635, 0.060) [1 per cell]
O (0.983, 0.636, 0.562) [1 per cell]
O (0.995, 0.134, 0.289) [1 per cell]

Total energy after the MP2020 corrections: -6.4970 eV/atom
Calculated volume: 9.010 Å³ per atom
Energy relative to the elements: -5566 kJ/mol of formula units

[2]
A relaxed structure of Cs2CrH2Cl5O. Source: the Materials Project database, functional PBE+U.

a b c (Å): 9.768 8.164 14.420
angles (deg): 90.00 106.13 90.00
Space group Pm (No. 6)
Symmetry-distinct sites (fractional):
Cs (0.000, 0.000, 0.000) [1 per cell]
Cs (0.083, 0.000, 0.639) [1 per cell]
Cs (0.165, 0.500, 0.611) [1 per cell]
Cs (0.248, 0.500, 0.250) [1 per cell]
Cs (0.500, 0.000, 0.500) [1 per cell]
Cs (0.583, 0.000, 0.139) [1 per cell]
Cs (0.665, 0.500, 0.111) [1 per cell]
Cs (0.748, 0.500, 0.750) [1 per cell]
Cr (0.044, 0.000, 0.318) [1 per cell]
Cr (0.204, 0.500, 0.932) [1 per cell]
Cr (0.545, 0.000, 0.818) [1 per cell]
Cr (0.704, 0.500, 0.431) [1 per cell]
H (0.321, 0.098, 0.893) [2 per cell]
H (0.427, 0.402, 0.856) [2 per cell]
H (0.821, 0.098, 0.393) [2 per cell]
H (0.927, 0.402, 0.357) [2 per cell]
Cl (0.009, 0.500, 0.996) [1 per cell]
Cl (0.100, 0.290, 0.818) [2 per cell]
Cl (0.148, 0.210, 0.431) [2 per cell]
Cl (0.239, 0.000, 0.253) [1 per cell]
Cl (0.321, 0.290, 0.040) [2 per cell]
Cl (0.427, 0.210, 0.709) [2 per cell]
Cl (0.509, 0.500, 0.496) [1 per cell]
Cl (0.599, 0.290, 0.318) [2 per cell]
Cl (0.649, 0.210, 0.931) [2 per cell]
Cl (0.739, 0.000, 0.753) [1 per cell]
Cl (0.821, 0.290, 0.540) [2 per cell]
Cl (0.927, 0.210, 0.209) [2 per cell]
O (0.368, 0.000, 0.876) [1 per cell]
O (0.382, 0.500, 0.874) [1 per cell]
O (0.866, 0.000, 0.375) [1 per cell]
O (0.881, 0.500, 0.374) [1 per cell]
*/
It remains to print all of the notes above exactly.
Li2Mn3TeO8 after structural relaxation, computed with PBE with a Hubbard U.

Energy of formation   -1996 meV/atom
E above lowest polymorph   0.0027 eV/atom

Cell: 6.092 6.117 10.808 Å, 90.80 105.48 119.65°
Space group P-1 (No. 2)
Inequivalent atoms, fractional coordinates:
Li  0.140  0.064  0.210 (multiplicity 2)
Li  0.150  0.570  0.709 (multiplicity 2)
Mn  0.000  0.000  0.500 (multiplicity 1)
Mn  0.000  0.500  0.000 (multiplicity 1)
Mn  0.500  0.000  0.000 (multiplicity 1)
Mn  0.500  0.000  0.500 (multiplicity 1)
Mn  0.500  0.500  0.000 (multiplicity 1)
Mn  0.500  0.500  0.500 (multiplicity 1)
Te  0.484  0.736  0.250 (multiplicity 2)
O  0.256  0.839  0.132 (multiplicity 2)
O  0.260  0.629  0.363 (multiplicity 2)
O  0.263  0.611  0.909 (multiplicity 2)
O  0.270  0.401  0.134 (multiplicity 2)
O  0.285  0.152  0.861 (multiplicity 2)
O  0.293  0.375  0.632 (multiplicity 2)
O  0.297  0.925  0.636 (multiplicity 2)
O  0.300  0.149  0.409 (multiplicity 2)

~~~~~

[1]
A relaxed structure of Li9Mn2Co5O16. Source: the Materials Project database, functional PBE+U.

a b c (Å): 2.958 9.855 10.102
angles (deg): 78.88 87.13 86.95
Space group P1 (No. 1)
Symmetry-distinct sites (fractional):
Li (0.000, 0.000, 0.000) [1 per cell]
Li (0.002, 0.504, 0.750) [1 per cell]
Li (0.485, 0.494, 0.492) [1 per cell]
Li (0.499, 0.496, 0.001) [1 per cell]
Li (0.501, 0.003, 0.750) [1 per cell]
Li (0.504, 0.002, 0.245) [1 per cell]
Li (0.510, 0.259, 0.373) [1 per cell]
Li (0.987, 0.002, 0.493) [1 per cell]
Li (0.995, 0.491, 0.254) [1 per cell]
Mn (0.993, 0.251, 0.618) [1 per cell]
Mn (0.995, 0.748, 0.876) [1 per cell]
Co (0.002, 0.248, 0.133) [1 per cell]
Co (0.487, 0.247, 0.876) [1 per cell]
Co (0.496, 0.748, 0.623) [1 per cell]
Co (0.502, 0.750, 0.123) [1 per cell]
Co (0.996, 0.753, 0.370) [1 per cell]
O (0.003, 0.369, 0.452) [1 per cell]
O (0.014, 0.865, 0.689) [1 per cell]
O (0.021, 0.357, 0.946) [1 per cell]
O (0.033, 0.865, 0.185) [1 per cell]
O (0.462, 0.627, 0.811) [1 per cell]
O (0.468, 0.354, 0.689) [1 per cell]
O (0.476, 0.139, 0.055) [1 per cell]
O (0.491, 0.639, 0.306) [1 per cell]
O (0.508, 0.870, 0.434) [1 per cell]
O (0.519, 0.141, 0.569) [1 per cell]
O (0.528, 0.365, 0.179) [1 per cell]
O (0.528, 0.866, 0.943) [1 per cell]
O (0.964, 0.137, 0.807) [1 per cell]
O (0.968, 0.635, 0.060) [1 per cell]
O (0.983, 0.636, 0.562) [1 per cell]
O (0.995, 0.134, 0.289) [1 per cell]

Total energy after the MP2020 corrections: -6.4970 eV/atom
Calculated volume: 9.010 Å³ per atom
Energy relative to the elements: -5566 kJ/mol of formula units

[2]
A relaxed structure of Cs2CrH2Cl5O. Source: the Materials Project database, functional PBE+U.

a b c (Å): 9.768 8.164 14.420
angles (deg): 90.00 106.13 90.00
Space group Pm (No. 6)
Symmetry-distinct sites (fractional):
Cs (0.000, 0.000, 0.000) [1 per cell]
Cs (0.083, 0.000, 0.639) [1 per cell]
Cs (0.165, 0.500, 0.611) [1 per cell]
Cs (0.248, 0.500, 0.250) [1 per cell]
Cs (0.500, 0.000, 0.500) [1 per cell]
Cs (0.583, 0.000, 0.139) [1 per cell]
Cs (0.665, 0.500, 0.111) [1 per cell]
Cs (0.748, 0.500, 0.750) [1 per cell]
Cr (0.044, 0.000, 0.318) [1 per cell]
Cr (0.204, 0.500, 0.932) [1 per cell]
Cr (0.545, 0.000, 0.818) [1 per cell]
Cr (0.704, 0.500, 0.431) [1 per cell]
H (0.321, 0.098, 0.893) [2 per cell]
H (0.427, 0.402, 0.856) [2 per cell]
H (0.821, 0.098, 0.393) [2 per cell]
H (0.927, 0.402, 0.357) [2 per cell]
Cl (0.009, 0.500, 0.996) [1 per cell]
Cl (0.100, 0.290, 0.818) [2 per cell]
Cl (0.148, 0.210, 0.431) [2 per cell]
Cl (0.239, 0.000, 0.253) [1 per cell]
Cl (0.321, 0.290, 0.040) [2 per cell]
Cl (0.427, 0.210, 0.709) [2 per cell]
Cl (0.509, 0.500, 0.496) [1 per cell]
Cl (0.599, 0.290, 0.318) [2 per cell]
Cl (0.649, 0.210, 0.931) [2 per cell]
Cl (0.739, 0.000, 0.753) [1 per cell]
Cl (0.821, 0.290, 0.540) [2 per cell]
Cl (0.927, 0.210, 0.209) [2 per cell]
O (0.368, 0.000, 0.876) [1 per cell]
O (0.382, 0.500, 0.874) [1 per cell]
O (0.866, 0.000, 0.375) [1 per cell]
O (0.881, 0.500, 0.374) [1 per cell]